Employee Wellness Blog | TotalWellness

10 Reasons You Should Be Biking to Work

== Next to the page, the page also holds calculated molecules ==
<<<
{
  "formula": "H12O16S2V",
  "method": "wB97M-V/def2-TZVPD",
  "homo_ha": 0.0103,
  "e_above_lowest_kcal_mol": 0.0,
  "largest_force_ha_per_bohr": 0.082,
  "gap_ha": 0.253,
  "e_lumo_ev": 7.17,
  "total_charge": -3,
  "symbols": ["O", "O", "O", "O", "O", "S", "O", "H", "H", "O", "V", "H", "H", "O", "H", "H", "H", "O", "O", "O", "S", "H", "O", "O", "O", "H", "O", "O", "H", "H", "H"],
  "xyz": [[-18.581, 0.458, 3.158], [-23.792, -0.595, -1.896], [-23.966, 0.707, 0.536], [-22.726, 2.309, -3.051], [-23.080, -3.812, 2.376], [-23.380, -3.359, 0.999], [-26.284, -1.207, 1.558], [-26.439, 2.362, 0.696], [-19.496, 0.760, 3.228], [-26.178, 1.558, 1.151], [-22.632, -0.148, 0.132], [-25.222, 1.454, 0.956], [-24.566, -0.479, -2.449], [-23.467, -1.883, 0.986], [-18.661, -0.498, 3.088], [-20.850, -1.979, -1.639], [-23.035, -0.440, -2.483], [-21.445, 0.236, 1.114], [-18.820, -0.008, -1.282], [-24.654, -3.929, 0.569], [-21.479, 2.132, -2.280], [-19.238, 0.668, -1.853], [-21.091, 3.330, -1.524], [-20.398, 1.705, -3.201], [-21.387, -1.722, -0.887], [-19.484, -0.181, -0.597], [-22.261, -3.759, 0.133], [-21.673, 1.015, -1.322], [-26.358, -0.244, 1.555], [-25.336, -1.317, 1.352], [-21.546, -2.566, -0.371]]
}

{
  "formula": "C5H15N2",
  "method": "wB97M-V/def2-TZVPD",
  "homo_ha": [-0.4677, -0.5287],
  "e_above_lowest_kcal_mol": 158.1,
  "largest_force_ha_per_bohr": 0.080,
  "gap_ha": [0.273, 0.391],
  "e_lumo_ev": [-5.29, -3.75],
  "total_charge": 1,
  "symbols": ["H", "N", "H", "H", "C", "H", "C", "C", "N", "H", "H", "H", "H", "H", "H", "H", "H", "H", "C", "H", "C", "H"],
  "xyz": [[0.977, -1.518, -2.025], [-0.723, 0.077, 0.299], [-0.357, 0.146, 2.390], [-1.911, -1.652, -0.199], [-1.746, -1.073, 0.681], [1.035, -0.539, 1.299], [2.278, 1.036, -1.018], [0.182, 0.263, 1.395], [-0.029, -0.306, -0.865], [2.538, 0.617, -0.104], [-2.701, -0.710, 1.158], [-1.302, -1.642, 1.508], [2.516, 0.460, -1.956], [-0.584, 2.149, -0.201], [0.545, 1.367, 1.401], [0.141, -2.243, -0.761], [-1.740, 1.274, -1.078], [1.895, 2.043, -1.069], [-1.376, 1.347, -0.051], [1.746, -1.461, -0.475], [0.744, -1.433, -0.962], [-2.126, 1.798, 0.635]]
}

no.,calculated total energy (eV)
1,-80315.3472
2,-8395.8186

----------

The following is a quantum chemistry calculation of C29H22ClN3O5S in the gas phase, from the Open Molecules 2025 dataset.

Summary:
SMILES string = CC1=C(C(=O)Nc2ccccc2)[C@H](c2ccc(Cl)cc2)n2c(s/c(=C/c3cccc(OCC(=O)O)c3)c2=O)=N1
DFT total energy = -2517.206135 Ha
largest force on an atom = 0.9 eV/Å
molecular weight = 560.0 g/mol
LUMO = -0.9282 eV
highest occupied orbital energy = -0.304 Ha

```
! wB97M-V def2-TZVPD RIJCOSX def2/J DEFGRID3
* xyz 0 1
C 4.94607 -1.01798 1.78995
C 3.63011 -0.71100 1.16469
C 2.53655 -0.25112 1.82249
C 2.57646 0.02910 3.27748
O 3.61592 0.21905 3.87887
N 1.34238 0.06015 3.87028
C 1.02032 0.29399 5.20951
C -0.30334 0.07790 5.59286
C -0.69857 0.30511 6.89617
C 0.21856 0.75102 7.83386
C 1.53232 0.96636 7.45458
C 1.94030 0.74287 6.15200
C 1.23800 -0.01087 1.07714
>>>

Written by Jamie Bell | Fri, May 16, 2014

=====
Entry 1:
# C6H13N

A single C6H13N molecule at a distorted geometry (the ωB97M-V functional and the def2-TZVPD basis, OMol25).

Last column: Mulliken charge in e.
Geometry (Å):
C 0.79 -2.66 1.57  -0.73
C 0.32 -1.43 1.54  -0.14
C 1.14 -0.25 1.11  -0.56
C 1.14 -0.11 -0.43  -0.85
N -0.17 0.11 -1.01  -0.31
C -0.91 1.30 -0.58  -0.32
C -1.67 1.93 -1.74  -1.15
H 0.24 -3.54 1.87  0.29
H 1.81 -2.85 1.27  0.24
H -0.68 -1.17 1.89  0.31
H 2.17 -0.26 1.51  0.40
H 0.72 0.68 1.51  0.28
H 1.57 -1.02 -0.83  0.37
H 1.76 0.72 -0.75  0.37
H -0.74 -0.72 -0.98  0.28
H -0.20 1.96 -0.07  0.38
H -1.63 1.01 0.20  0.22
H -1.91 1.20 -2.50  0.34
H -2.63 2.34 -1.38  0.31
H -1.13 2.76 -2.18  0.28

## Properties
* HOMO-LUMO gap: 9.58 eV
* energy: -7921.817 eV
* SMILES string: C=CCCNCC
* highest occupied orbital energy: -8.4 eV
* relative energy (zero: lowest compared OMol25 entry of this formula, charge and spin): 98.0 kJ/mol



Entry 2:
# C6H13N

A single C6H13N molecule at a distorted geometry (the ωB97M-V functional and the def2-TZVPD basis, OMol25).

Last column: Mulliken charge in e.
Geometry (Å):
C -1.47 -1.67 0.41  -0.69
C -0.89 -0.49 0.60  -0.12
C 0.65 -0.20 0.35  -0.48
C 1.06 0.29 -1.05  -0.40
C 1.83 -0.85 -1.86  -1.01
N -1.51 0.71 0.56  -0.21
C -1.23 1.67 1.60  -0.82
H -2.00 -1.94 -0.52  0.22
H -1.31 -2.53 1.04  0.28
H 1.41 -0.92 0.91  0.43
H 0.92 0.64 1.02  0.15
H 0.13 0.44 -1.62  0.23
H 1.68 1.18 -1.15  0.40
H 2.69 -1.13 -1.18  0.26
H 2.22 -0.30 -2.79  0.33
H 1.11 -1.73 -1.99  0.26
H -1.52 1.07 -0.38  0.32
H -1.77 1.20 2.58  0.21
H -0.28 1.89 1.91  0.31
H -1.70 2.67 1.57  0.34

## Properties
* HOMO-LUMO gap: 8.29 eV
* energy: -7917.974 eV
* SMILES string: C=C(CCC)NC
* highest occupied orbital energy: -7.9 eV
* relative energy (zero: lowest compared OMol25 entry of this formula, charge and spin): 468.9 kJ/mol



Entry 3:
# C6H13N

A single C6H13N molecule (the ωB97M-V functional and the def2-TZVPD basis, OMol25).

Last column: Mulliken charge in e.
Geometry (Å):
C -0.86 2.85 0.36  -1.16
C -0.59 1.35 0.32  -0.36
C 0.49 0.84 -0.65  -0.65
C 0.50 -0.65 -0.38  0.87
C 1.43 -1.13 0.72  -1.44
N -0.39 -1.32 -0.99  -0.51
C -0.59 -2.72 -0.70  -0.81
H -1.70 3.10 -0.29  0.30
H -1.13 3.18 1.37  0.32
H 0.00 3.44 0.04  0.31
H -0.36 0.97 1.32  0.27
H -1.50 0.83 0.00  0.26
H 0.19 1.01 -1.69  0.32
H 1.47 1.31 -0.49  0.34
H 1.97 -0.29 1.16  0.35
H 0.87 -1.63 1.52  0.38
H 2.16 -1.84 0.33  0.40
H -0.23 -3.29 -1.56  0.26
H -0.09 -3.09 0.21  0.29
H -1.66 -2.91 -0.61  0.29

## Properties
* HOMO-LUMO gap: 10.28 eV
* energy: -7922.398 eV
* SMILES string: CCC/C(C)=N/C
* highest occupied orbital energy: -9.2 eV
* relative energy (zero: lowest compared OMol25 entry of this formula, charge and spin): 41.9 kJ/mol



Entry 4:
# C6H13N

A 3-piece molecular cluster, C6H13N overall at a distorted geometry (the ωB97M-V functional and the def2-TZVPD basis, OMol25).

Last column: Mulliken charge in e.
Geometry (Å):
C -1.62 -0.50 0.08  0.09
C -0.89 0.31 -1.02  -0.56
C -0.75 0.61 0.54  -0.45
=====

Morning commutes always seem to be a struggle. Dealing with rush hour traffic, insufficient parking, faulty alarm clocks and last-minute emergencies tends to start the day off poorly and contribute to unnecessary stress. Besides these basic struggles, getting up extra early to sneak in a pre-sunrise yoga class or a quick morning jog can sometimes seem like an impossible feat. There is an exception, however. All of the employees that bike to work all seem arrive bright-eyed, alert and ready to face the day. Before they even get to their desks, they've gotten in some exercise, soaked up a little sunlight and avoided a dreaded highway commute. Today, on National Bike to Work Day, we salute those employees with a list of our 10 favorite reasons to consider commuting by bike. 

1.) It saves gas money. 
According to the Sierra Club, the average annual operating expenses of a bike are $7,692 less than the average cost of operating a car for a year. 

2.) It'll help you lose weight. 
One study found that the average bicycle commuter loses 13 pounds during their first year of biking to work without overhauling their diet or doing additional exercises. 

3.) Cycling is good for the environment. 
If you substitute one day's worth of driving with biking per week, in a year you'll reduce auto emissions by 1,248 pounds of CO2. Talk about reducing your carbon footprint! 

4.) The government will reimburse you.
Since January 2012, bicycle commuters have been entitled to a $20/month tax-free reimbursement for bike-related expenses if you bike to the office at least three times a week.

5.) It reduces stress. 
Biking to work gives you a guaranteed commute time and parking spot. You won't have to worry about accidents on the highway, rush hour traffic or trying to beat your coworkers for a space in the parking garage. 

6.) Biking does wonders for your health.
According to the Mayo Clinic, people who perform 30 minutes of aerobic exercise three to five times a week are at a decreased risk of diabetes, heart disease and high blood pressure, as  well as significantly reducing anxiety and depression.

7.) You'll perform better at work. 
A study of 200 people carried out by the University of Bristol found that employees who exercised before work or at lunchtime improved their time and workload management, and it boosted their motivation and their ability to deal with problems. 

8.) You'll be happier. 
Any mild-to-moderate physical activity releases natural feel-good endorphins that help combat stress and make you happy.

9.) It's gaining popularity. 
Bike commuting is up 36% in the past 5 years, according to U.S. Census data. You may be surprised to find that your city has dedicated bike trails or special considerations for cyclists. 

10.) Changing your commute is easier than you think.
We understand that you may live too far away to commit to the full commute, but consider tossing your bike in your car (or getting a bike rack installed) and parking a couple of miles away. With about half of U.S. employes living within 5 miles of their workplace, chances are it's easier to bike to work than you think. 

As a CEO or human resources professional, there are plenty of ways you can support and even encourage bike commuting among your staff. Be sure that there is a safe place for employees to store their cycles, whether that means installing a bike rack outside or providing a room inside of the office building. Consider providing safety tips or suggested routes for cyclists. 

Would you consider biking to work? If you do already, what are some tips and tricks you have for making the commute convenient?